Jeep Articles & News
YJ Aftermarket Air Conditioning Installation
After some searching, I could find only ONE article pertaining to installing an aftermarket Air Conditioning Kit in a YJ Jeep Wrangler. Those of you that live in the south, and do not want to go topless for the entire summer, know how important A/C can be (yes, you can start flaming now about how hardcore you are and that you don’t need air conditioning. Jerks.)
Brad Kilby from Kilby Enterprises turned me onto Arizona Mobile Air’s Kit, which is a relatively inexpensive $697.00 shipped. You can visit their website, to order yours if you want.
After waiting 3 days, it finally arrived in 1 great big box. I unpacked it, read the instructions (very important, although they are very very vague and leave out a lot of very pertinent information.)

What you get in the kit, is the compressor, which takes gaseous refrigerant, and compresses it, and sends it off to the condenser. The Sel-Tec compressor they give you (so I’m told) is better than the old Sanden SD-7, which is what most of the dealer-installed kits have. They supply a bracket that bolts onto the stock a/c bracket as well as an idler pulley and a longer belt.

You also get the condenser, which is responsible for taking the compressed gaseous refrigerant, and bleeding off its heat. The condenser is basically a huge radiator that sits in front of your current radiator. They include all the bracketry to bolt it up very easily.
You also get the accumulator/dryer (the little black can thingy) which acts as a filter/moisture trapping element for the now-liquid refrigerant coming from the condenser. They supply you with 2oz. of lubricant which you put in the accumulator to act as a lubricating and filtering bath. You also get all the pressure hoses with proper fittings and correct lengths already made for you.

The most difficult piece of the kit to install is the evaporator/control unit. Inside the unit is another smaller radiator where the liquid refrigerant changes back into a gas, and part of physics is that a state change from liquid to gas gives a cooling effect, and that’s exactly how all A/C units work. The reason this part is so difficult to install is that you have to make room for the large fan motor and bulky unit itself under/behind the dashboard in the maze of wires and throttle and heater cabling. You are also required to drill a couple of holes in the firewall to feed the refrigerant lines through. I may opt to have this installed by a professional when I take it to get the system evacuated and charged.
Day One
The first thing you will want to install is the compressor. The proper mounting location is the large flat area with 4 bolt holes if you haven’t already guessed.
You will first bolt the bracket to the mount using the four 8mm bolts with lock washers, then you will bolt the compressor to the bracket using the supplied larger bolts, nuts, and lock washers.
Then, to mount the idler pulley, you must remove the alternator so you can get to a nut to remove a bolt and install it. The alternator I believe uses 15mm sockets on the front, and the idler bolt is a 15mm bolt head and a smaller nut. I used a crescent wrench to hold the nut while I unbolted it.
After you remove this bolt and nut, put the idler pulley on the new supplied bolt and bushing, and put the 1/4″ spacer on the end with the nut so the belt will ride properly.
Rebolt the alternator on, then loosen the power steering pump to change the belt out. My power steering bolts were all 1/2″ or 14mm. In the picture here, you can see the correct routing of the new belt.
Next, we start on the condenser. Taking the brackets supplied, bolt them on, and attach the upper and lower hoses. There are two ways to mount the condenser, the hard way requires that the radiator to be drained and removed so that the ability to drill and screw in the top brackets is easier for those without a wide selection of tools. The easy way is to unbolt the radiator bracket with the two bolts on the cowl, and two lower radiator bolts.
Once the radiator is unbolted, you can push it back far enough to drop the condenser down between the grill and the radiator. The condenser actually will come into the space between both, suspended between both vertical body mounts with the brackets. Two rubber well-nuts are slipped into pre-existing body holes, and are bolted snug.
There are 4 holes on the top brackets of the condenser that are drilled into the cowl, and self-tapping screws are used. You can unbolt the fan from the water pump, and unbolt the plastic fan shroud to push the radiator down far enough to get a clearance to drill for them.
Bolt the radiator back into place, then run the high pressure lines back up under the radiator somewhat like the diagram included, and tighten one onto the compressor (making sure to use the proper size O-ring on the flanges), and the smaller, shorter, lower one onto the inlet side of the accumulator after you fill it with the supplied 2oz. of synthetic lubricant that is included. Attach the cable to the top of the pressure switch, and connect the long end to the clutch cable on the compressor.
To install the evaporator, you are required to drill two holes in the firewall below the heater hoses, although some Jeeps will have pre-knocked out and plugged oval holes for the lines already. Mine however does not have them, and I am not sure yet whether I want to do it myself or let a seasoned pro start cutting.
Day Two
After calling AMA, and talking with Jack, their Jeep specialist, I felt confident enough to handle installing the evaporator/fan unit myself. Jack suggested a location to drill the holes for the lines to run. So I drilled two 1-1/4″ holes in the firewall just below the heater unit, There is a spot that is about 2″ tall and about 9″ wide that is big enough to run the lines on the passenger side.
I then ran the lines starting in the engine compartment and threading them into the cab.
The next item of business, Jack told me, was to screw the passenger side of the unit to the dashboard, lining it up with the glove box. An ex-post-facto suggestion i will make is to make sure that the metal strap is flush with the dashboard or even slightly recessed to allow clearance for the glove box hinge. This will put the hole for the self-tapping screw off-center, do not worry because the metal frame of the dashboard is very very strong.
Then pilot drill and screw on the drivers side.
Then drill 3 holes in the firewall to attach the supporting bracket for the fan housing. You will want to lift the back of the unit as high as you can to get the right amount of clearance. after I installed this bracket, I had to trim about 3/4″ off of the top of the gas pedal lever to clear the fan housing.
Attach the larger hose to the evaporator after feeding the rubber firewall grommets onto both lines. Next, install the pressure valve and smaller line. The pressure valve is a temperature activated unit that senses the temperature of the refrigerant leaving the evaporator, and adjusts the flow of refrigerant to prevent icing up. The copper coil will have to contact the exit fitting and is held in place with a supplied metal clip.
Attached: data records:
-- begin --
First-principles (PBE) data for Nd3Cr5Te12 after structural relaxation, as listed in the Alexandria database.

## Properties
- total magnetic moment (μB/cell) = 60.0
- formation energy (no corrections) (eV/atom) = -0.51

The structure in CIF format:
```
data_Nd3Cr5Te12
_chemical_formula_sum 'Nd12 Cr20 Te48'
_cell_length_a 14.793
_cell_length_b 14.793
_cell_length_c 14.793
_cell_angle_alpha 109.47
_cell_angle_beta 109.47
_cell_angle_gamma 109.47
_space_group_name_H-M_alt 'P 1'
_space_group_IT_number 1
_space_group_name_Hall 'P 1'
loop_
_atom_site_label
_atom_site_fract_x
_atom_site_fract_y
_atom_site_fract_z
Nd1 0.125 0.250 0.375
Nd2 0.125 0.375 0.750
Nd3 0.250 0.375 0.125
Nd4 0.250 0.875 0.625
Nd5 0.375 0.125 0.250
Nd6 0.375 0.750 0.125
Nd7 0.625 0.250 0.875
Nd8 0.625 0.875 0.750
Nd9 0.750 0.125 0.375
Nd10 0.750 0.625 0.875
Nd11 0.875 0.625 0.250
Nd12 0.875 0.750 0.625
Cr1 0.000 0.000 0.000
Cr2 0.000 0.000 0.500
Cr3 0.000 0.500 0.000
Cr4 0.000 0.500 0.500
Cr5 0.125 0.750 0.875
Cr6 0.125 0.875 0.250
Cr7 0.250 0.125 0.875
Cr8 0.250 0.625 0.375
Cr9 0.375 0.250 0.625
Cr10 0.375 0.625 0.750
Cr11 0.500 0.000 0.000
Cr12 0.500 0.000 0.500
Cr13 0.500 0.500 0.000
Cr14 0.500 0.500 0.500
Cr15 0.625 0.375 0.250
Cr16 0.625 0.750 0.375
Cr17 0.750 0.375 0.625
Cr18 0.750 0.875 0.125
Cr19 0.875 0.125 0.750
Cr20 0.875 0.250 0.125
Te1 0.030 0.206 0.118
Te2 0.030 0.323 0.912
Te3 0.088 0.618 0.412
Te4 0.088 0.706 0.677
Te5 0.088 0.882 0.412
Te6 0.088 0.970 0.677
Te7 0.118 0.030 0.206
Te8 0.118 0.588 0.912
Te9 0.177 0.206 0.588
Te10 0.177 0.470 0.588
Te11 0.206 0.118 0.030
Te12 0.206 0.588 0.177
Te13 0.294 0.323 0.912
Te14 0.294 0.470 0.382
Te15 0.323 0.912 0.030
Te16 0.323 0.912 0.294
Te17 0.382 0.294 0.470
Te18 0.382 0.588 0.912
Te19 0.412 0.088 0.618
Te20 0.412 0.088 0.882
Te21 0.412 0.823 0.530
Te22 0.412 0.823 0.794
Te23 0.470 0.382 0.294
Te24 0.470 0.588 0.177
Te25 0.530 0.412 0.823
Te26 0.530 0.618 0.706
Te27 0.588 0.177 0.206
Te28 0.588 0.177 0.470
Te29 0.588 0.912 0.118
Te30 0.588 0.912 0.382
Te31 0.618 0.412 0.088
Te32 0.618 0.706 0.530
Te33 0.677 0.088 0.706
Te34 0.677 0.088 0.970
Te35 0.706 0.530 0.618
Te36 0.706 0.677 0.088
Te37 0.794 0.412 0.823
Te38 0.794 0.882 0.970
Te39 0.823 0.530 0.412
Te40 0.823 0.794 0.412
Te41 0.882 0.412 0.088
Te42 0.882 0.970 0.794
Te43 0.912 0.030 0.323
Te44 0.912 0.118 0.588
Te45 0.912 0.294 0.323
Te46 0.912 0.382 0.588
Te47 0.970 0.677 0.088
Te48 0.970 0.794 0.882
```

First-principles (PBE) data for ReBiH2 after structural relaxation, as listed in the Alexandria database.

## Properties
- VASP energy (eV per atom) = -5.15
- total magnetic moment (μB/cell) = 0.0

The structure in CIF format:
```
data_ReBiH2
_chemical_formula_sum 'Re2 Bi2 H4'
_cell_length_a 5.044
_cell_length_b 5.044
_cell_length_c 5.044
_cell_angle_alpha 107.83
_cell_angle_beta 107.83
_cell_angle_gamma 112.81
_space_group_name_H-M_alt 'P 1'
_space_group_IT_number 1
_space_group_name_Hall 'P 1'
loop_
_atom_site_label
_atom_site_fract_x
_atom_site_fract_y
-- stop --
Back to the piece:
After you have it clipped on, use the supplied black insulating tape they supply (it’s got a weird name) around the valve and the fittings to insulate it from improper readings.
Feed the black clutch wire through one of the grommets into the engine compartment. Then lightly spray the grommets with a light lubricant like wd-40 and work them into the firewall.
Then attach the hose cover to the housing with 2 self tapping screws and some zip ties on the lower end. Jack said to use 1 self tapping screw, but it didn’t reach. Zip-ties are fine IMHO.
Drill a hole in the transmission tunnel 5/8″ in diameter for the evaporator drain hose to feed through. You can get it closer to the firewall if you drill it before you install the evaporator. Slit carpet accordingly.
Attach ground wire to a good ground, then cut the rubber connector off of the blue power wire and crimp on the supplied spade terminal, and slip it into the fuse panel in the location that says “Cruise” or another similar open socket.
Connect the black clutch wire to the pressure switch at the accumulator, then attach the lines to the compressor and the accumulator.
The system should be finished. Now take it to your local a/c servicing location and have them evacuate the system, (which also will tell you if you’ve got any minor leaks that need to be addressed from over tightening the fittings, or not pre-lubricating the o-rings before installing them.
Vi-o-la!! a working air conditioning system in a Jeep! Check that out boys and girls – 37.9 Degrees Fahrenheit!!!!!
This system is so cold that it chilled my hand while working the stick-shift. All I need now is a vent-mounted cup holder and i’ll never have to worry about a frosty beverage again!
Some thoughts after installation
I would likely try to run the return line (the big fat one with the black fitting on it) slightly more to the back of the compressor than I did, simply because there is precious little clearance between it and the hood, and I’m sure it rubs slightly. Turning it about 120 degrees towards the back of the engine compartment would offer a little better clearance. Jeeps with a 1″ or more body lift and no motor mount lift should not have this clearance problem. The current configuration also does not allow for reinstallation of my York Compressor at this time.
UPDATE: Two guys on JU suggested a few ideas to solve both the York Bracket problem, and the hose rubbing the hood problem. The suggestion for the hood problem was to rotate the compressor 90 degrees counter clockwise in its mount to put the fittings on the side of the compressor. I contacted AMA about this, and they said that this would not affect the oiling of the compressor in any way. “As long as it’s not mounted upside down,” they said.
This solved the clearance issue, however I now have a hosing routing issue when I plan on reinstalling my Kirby Bracket for my york. I will have to de-pressurize the system, re-route the hoses properly, and then get the system evacuated and re-charged for about $80 in refrigerant and labor. :-( Oh well…. should have thought about that when i was installing the system. D’oh!…
Adapting the system so I can still use my Kilby OBA York bracket will come another day, so look for it. Basically, it involves trimming the AMA bracket a bit on both sides, and moving the 4 bracket mount holes to the passenger side a bit, maybe 1/2″ to clear the bracket, and then making a brace to attach the top of the Kilby Bracket to the ears on the compressor.
In Conclusion
Total Cost:
AMA Kit: $697.00
R-134a Evacuate and Recharge with 24oz of refrigerant: $79.00
Total overall: $776.00
Not bad for an aftermarket kit. If you do this job yourself… you easily save… oh… at least $400.00 in labor.